Sunday, June 12, 2011

My First Horseback Riding Memory

My obsession with horses goes back a very long time. I don't remember a time when I wasn't crazy about these magnificent creatures.

My very first memory of riding took place when I was around 4 or 5 years old in Conconully, Washington. There used to be a horse rental place in that small town. One day my mother, sister, cousin, and I took off on the hour-long trip from my childhood home in Oroville, Washington, for the express purposes of going horseback riding. The fact that I remember it so well tells you what kind of impression it made on me.

A grizzled old cowboy met us at the ranch and was our guide for the hour-long ride. The horses, as I recall, were saddled and waiting for their next customers, which just happened to be me, my sister, and our cousin. My mother didn't ride and had no interest in horses. It was, as it often is in the summer in Eastern Washington, most likely pushing 80 to 90 degrees, but that wouldn't have deterred me.

/*
Density functional theory data (wB97M-V/def2-TZVPD) for C35H41BrClN3O3PTi as an isolated structure.

Calculated values
Energy relative to the best compared isomer or geometry (same formula, charge and spin) in kJ/mol: 26.0
2S+1: 3
Total charge: -1
Frontier orbital gap (spin up / spin down) in eV: 4.69 / 7.06

Last column: Mulliken charge in e.
Atoms and positions in Å:
Ti (-1.13, -0.11, 0.34)  -0.27
Br (-4.63, 6.40, 0.38)  -0.27
C (-3.76, 4.75, -0.03)  0.00
C (-2.91, 4.69, -1.13)  -0.70
C (-2.27, 3.49, -1.41)  -0.50
C (-2.45, 2.35, -0.62)  0.46
O (-1.77, 1.26, -0.93)  -0.15
C (-3.37, 2.41, 0.48)  0.68
C (-3.78, 1.26, 1.22)  -0.63
N (-3.23, 0.07, 0.99)  1.17
C (-3.80, -1.11, 1.34)  -0.06
C (-4.82, -1.36, 2.26)  -1.22
C (-5.29, -2.66, 2.45)  -0.62
C (-4.81, -3.74, 1.74)  -1.07
C (-3.80, -3.53, 0.77)  0.72
C (-3.25, -4.54, -0.04)  -0.76
C (-2.28, -4.24, -0.96)  -0.92
C (-1.82, -2.92, -1.06)  0.13
N (-2.31, -1.95, -0.31)  0.62
C (-3.29, -2.22, 0.58)  1.02
C (-3.99, 3.65, 0.75)  -0.93
H (-2.74, 5.57, -1.75)  0.42
H (-1.60, 3.41, -2.25)  0.40
H (-4.63, 1.36, 1.88)  0.13
H (-5.23, -0.55, 2.85)  0.34
H (-6.07, -2.82, 3.19)  0.37
H (-5.19, -4.74, 1.90)  0.37
H (-3.61, -5.56, 0.08)  0.41
H (-1.85, -5.00, -1.60)  0.43
H (-1.03, -2.65, -1.74)  -0.10
H (-4.68, 3.71, 1.59)  0.43
Cl (1.92, 0.76, 6.98)  -0.28
C (1.12, 0.83, 5.41)  0.31
C (0.74, 2.07, 4.92)  -0.81
C (0.12, 2.12, 3.67)  -0.56
C (-0.11, 0.97, 2.93)  -0.04
O (-0.66, 1.07, 1.72)  0.18
C (0.27, -0.31, 3.45)  1.39
C (0.02, -1.50, 2.75)  -0.80
O (-0.58, -1.57, 1.59)  -0.45
C (0.91, -0.33, 4.72)  -1.44
H (0.91, 2.97, 5.49)  0.42
H (-0.20, 3.06, 3.24)  0.47
H (0.34, -2.44, 3.19)  0.18
H (1.21, -1.28, 5.14)  0.39
C (2.86, -0.02, -4.02)  -2.12
C (1.68, -0.49, -3.16)  2.54
C (0.38, 0.14, -3.68)  -1.87
C (1.53, -2.00, -3.35)  -1.46
P (1.81, -0.10, -1.32)  -1.27
N (0.41, -0.26, -0.66)  1.54
C (3.02, -1.29, -0.50)  2.49
C (3.35, -0.76, 0.91)  -2.17
C (2.28, -2.62, -0.26)  -1.51
C (4.33, -1.55, -1.25)  -2.01
C (2.42, 1.67, -1.11)  2.73
C (1.55, 2.58, -2.00)  -2.19
C (2.12, 2.14, 0.32)  -1.88
C (3.90, 1.91, -1.43)  -2.10
H (2.69, -0.36, -5.05)  0.53
H (3.81, -0.44, -3.69)  0.28
H (2.95, 1.06, -4.05)  0.33
H (0.12, -0.34, -4.64)  0.58
H (0.47, 1.20, -3.87)  0.31
H (-0.44, -0.01, -2.98)  0.23
H (1.26, -2.19, -4.39)  0.70
H (0.74, -2.40, -2.72)  -0.26
H (2.45, -2.55, -3.15)  0.27
H (2.45, -0.54, 1.47)  0.39
H (3.99, 0.12, 0.89)  0.23
H (3.90, -1.55, 1.44)  0.66
H (1.31, -2.44, 0.21)  0.10
H (2.88, -3.23, 0.43)  0.52
H (2.13, -3.21, -1.16)  0.30
H (4.89, -0.64, -1.44)  0.26
H (4.17, -2.06, -2.20)  0.30
H (4.96, -2.20, -0.64)  0.53
H (0.49, 2.37, -1.85)  0.21
H (1.80, 2.50, -3.06)  0.28
H (1.74, 3.62, -1.71)  0.65
H (1.07, 2.03, 0.56)  -0.05
H (2.38, 3.20, 0.38)  0.62
H (2.69, 1.62, 1.08)  0.32
H (4.18, 1.58, -2.43)  0.30
H (4.56, 1.43, -0.71)  0.32
H (4.09, 2.98, -1.37)  0.54

~~~~~

Entry 1:
*/
# End of the calculated molecules

I distinctly remember the gelding I rode, an old chestnut Quarter Horse, named Jughead. How he came about the name of Jughead, I have no idea. To me he was a Pegasus, a four-footed wonder, and the horse of my dreams. Of course, any horse would have been the horse of my dreams.

Jughead wore his halter over his bridle. The attached leadrope was tied to the guide's saddlehorn, not that the old horse needed to be tethered. He'd have followed just fine without the rope. Once we started out, Jughead did what any bombproof kid's horse would do. He fell into line with the other horses and plodded along, ignoring my attempts to urge him at a faster walk, or anything faster for that matter. He did his job and did it well. He wasn't in this dude string to be a star. He was there to provide novices (greeenhorns) with a taste of horseback riding on a safe animal.

We rode out across the open rangeland dotted with sagebrush and scrub pine trees, down some ravines, crossed a small stream and circled back. I held onto the saddle horn and revelled in the feeling of the horse's movement underneath me, all that power and grace (not that Jughead was graceful). From my vantage point in the saddle, I saw the world from the different perspective. I knew this was where I wanted to be.

I tried to find the pictures of this outing to post here, but they were missing from the photo album which held the pictures for years. What I recall is a very little girl mounted on a full-sized horse with her feet barely reaching halfway down the horse's barrel. Of course, none of us wore helmets. Such a thing was unheard back then.

Jughead took care of me that day, bringing me safely back to the barn. He further cemented my lifelong love of horses. That old horse was my very first horseback riding experience, and I'll always remember him fondly.

I'd love to hear about your first ride on a horse. Please share with us.


  1. Jami--My first horseback riding memory is also my earliest memory--how appropriate. I was three years old and my parents had taken me out to the family ranch where my uncle had horses. My uncle put me up in front of him on his horse, and I remember loping along and looking down at my parents driving in their car on the dirt road alongside of us. The horse was black and I remember his black mane flying and the rhythm of his gait and the wind in my face. It made an indelible imprint on my mind.

  2. Great story, Jami! I don't remember not being obsessed with horses, but have no idea when I first sat on a real one like Lauran recalls. My father also loved horses, so I was five when I got my first pony. What I am so amazed is how the obsession has stuck with me all these years--through a broken arm falling off a horse, a broken finger ramming it onto a horse's neck jumping, and a broken back after a horse crashed on top of me when I was sixteen. I was in the hospital/rehab for four months. All I could think about was getting back on a horse!

  3. Wow...I've always been horse crazy...I have a photo of me 4?5? years old with my plastic horse.

    Mmy first real memory is visit a friend when I was 7?8?9? years old...little...and her big sister had a horse, and she gave me a ride.

    Don't remember much about the horse, but I do remember the absolute delight of being on my soul-creature, riding bareback up and down the driveway, the sun in my face, horse-mane in my hands, and feeling the joy, the rightness of it all.


  4. Great post Jami. It brings back a flood of happy memories. Like the rest of us, I too have ate, slept and breathed horse my entire life. My first horse memory is of a horse named Boatride who was a retired Thoroughbred Stallion from my Dad's racing stable. He had had a solid racing career but was not fertile as a stallion. He was gentle and kind and as a toddler I would play on a blanket in his grass paddock and he would keep me occupied for hours. My Mom said he was the best babysitter ever and worked cheap, just wanted carrots and love.

  5. Hello, Ladies: I followed the link over from the Fugly Blog, and WOW -I'm very glad I did! I can see I will definitely be spending time here perusing old blog entries. And I would absolutely love to read all of your books!

    I, to my great regret, do not remember my first ride... but I do have a photo. It appears in the second post ever on my blog, actually. I'm about two years old and straddling an adorable Shetland, with my mother looking on (it was all her idea as she had horses as a child). This may not have been the VERY first ride but definitely close to it, and as I was so small, I'm not surprised I don't remember.

    In my case, I just say I don't remember a time when I DIDN'T ride. :-) It's neat to hear your stories, though!

  6. RiderWriter, Welcome to EI. We're happy you found us. Enjoy reading all the posts and don't hesitate to contact one of us with questions, suggestions, etc.
